• Contents:
********
No. 1
Te4Mo3WS4 | PBE-GGA | relaxed

Unit cell a=3.361 b=3.361 c=39.839 alpha=90.00 beta=90.00 gamma=120.00
Atoms (fractional coordinates):
Te: 0.000 0.000 0.707
Te: 0.333 0.667 0.420
Te: 0.333 0.667 0.516
Te: 0.000 0.000 0.612
Mo: 0.000 0.000 0.094
Mo: 0.333 0.667 0.282
Mo: 0.333 0.667 0.659
W: 0.000 0.000 0.468
S: 0.000 0.000 0.320
S: 0.333 0.667 0.056
S: 0.333 0.667 0.132
S: 0.000 0.000 0.244

Summary:
For the energy above the most stable polymorph in this dataset, the calculation gives 0.444 eV per formula unit. For the density, the calculation gives 4.73 g/cm3. The formation energy comes out at -0.61 eV/atom.

=====

No. 2
Th2Mo15S20 | PBE-GGA | relaxed

Unit cell a=9.301 b=11.207 c=14.461 alpha=105.14 beta=107.36 gamma=90.85
Atoms (fractional coordinates):
Th: 0.900 0.600 0.802
Th: 0.300 0.199 0.600
Th: 0.700 0.801 0.400
Th: 0.100 0.400 0.198
Mo: 0.551 0.387 0.082
Mo: 0.951 0.989 0.882
Mo: 0.349 0.588 0.682
Mo: 0.749 0.188 0.481
Mo: 0.149 0.789 0.282
Mo: 0.645 0.434 0.935
Mo: 0.047 0.034 0.737
Mo: 0.445 0.635 0.536
Mo: 0.845 0.235 0.335
Mo: 0.249 0.835 0.136
Mo: 0.654 0.619 0.099
Mo: 0.058 0.217 0.900
Mo: 0.458 0.820 0.701
Mo: 0.856 0.419 0.499
Mo: 0.256 0.020 0.300
Mo: 0.449 0.613 0.918
Mo: 0.851 0.211 0.718
Mo: 0.251 0.812 0.519
Mo: 0.651 0.412 0.318
Mo: 0.049 0.011 0.118
Mo: 0.355 0.566 0.065
Mo: 0.751 0.165 0.864
Mo: 0.155 0.765 0.665
Mo: 0.555 0.365 0.464
Mo: 0.953 0.966 0.263
Mo: 0.346 0.381 0.901
Mo: 0.744 0.980 0.700
Mo: 0.144 0.581 0.501
Mo: 0.542 0.180 0.299
Mo: 0.942 0.783 0.100
S: 0.721 0.024 0.325
S: 0.122 0.623 0.127
S: 0.528 0.229 0.928
S: 0.922 0.823 0.727
S: 0.322 0.423 0.526
S: 0.925 0.448 0.347
S: 0.325 0.047 0.153
S: 0.723 0.651 0.947
S: 0.125 0.248 0.747
S: 0.524 0.848 0.546
S: 0.751 0.379 0.626
S: 0.150 0.979 0.426
S: 0.551 0.580 0.227
S: 0.947 0.179 0.025
S: 0.352 0.773 0.822
S: 0.678 0.577 0.474
S: 0.078 0.177 0.273
S: 0.472 0.771 0.072
S: 0.878 0.377 0.873
S: 0.279 0.976 0.675
S: 0.476 0.152 0.454
S: 0.875 0.752 0.253
S: 0.277 0.349 0.053
S: 0.675 0.953 0.847
S: 0.075 0.552 0.653
S: 0.648 0.227 0.178
S: 0.053 0.821 0.975
S: 0.449 0.420 0.773
S: 0.850 0.021 0.574
S: 0.249 0.621 0.374
S: 0.009 0.248 0.503
S: 0.410 0.849 0.304
S: 0.810 0.447 0.102
S: 0.213 0.049 0.904
S: 0.610 0.648 0.704
S: 0.390 0.352 0.296
S: 0.787 0.951 0.096
S: 0.190 0.553 0.898
S: 0.590 0.151 0.696
S: 0.991 0.752 0.497

Summary:
For the density, the calculation gives 6.12 g/cm3. The formation energy comes out at -1.15 eV/atom.

=====

No. 3
Th2Mo15S20 | PBE-GGA | relaxed

Unit cell a=6.518 b=65.102 c=9.289 alpha=44.59 beta=88.68 gamma=89.00
Atoms (fractional coordinates):
Th: 0.000 0.100 0.000
Th: 0.999 0.399 0.004
Th: 0.000 0.500 0.000
Th: 0.000 0.700 0.000
Th: 0.001 0.801 0.996
Th: 0.000 0.901 0.995
Th: 0.000 0.299 0.005
Th: 0.000 0.600 0.000
Mo: 0.213 0.085 0.565
Mo: 0.225 0.186 0.561
Mo: 0.224 0.286 0.562
Mo: 0.224 0.386 0.562
Mo: 0.224 0.486 0.562
Mo: 0.224 0.586 0.562
Mo: 0.225 0.686 0.562
Mo: 0.225 0.786 0.562
Mo: 0.222 0.886 0.564
Mo: 0.414 0.034 0.219
Mo: 0.225 0.986 0.560
Mo: 0.420 0.134 0.223
Mo: 0.445 0.020 0.580
Mo: 0.415 0.234 0.219
Mo: 0.434 0.119 0.585
Mo: 0.421 0.334 0.225
Mo: 0.444 0.219 0.582
Mo: 0.421 0.434 0.224
Mo: 0.438 0.320 0.579
Mo: 0.421 0.534 0.224
Mo: 0.438 0.420 0.578
Mo: 0.421 0.634 0.225
Mo: 0.438 0.520 0.578
Mo: 0.421 0.734 0.225
Mo: 0.438 0.620 0.578
Mo: 0.566 0.081 0.415
Mo: 0.420 0.834 0.225
Mo: 0.438 0.720 0.579
Mo: 0.555 0.180 0.420
Mo: 0.417 0.934 0.224
Mo: 0.580 0.066 0.777
Mo: 0.438 0.820 0.579
Mo: 0.568 0.280 0.419
Mo: 0.586 0.166 0.781
Mo: 0.432 0.920 0.581
Mo: 0.562 0.380 0.421
Mo: 0.583 0.266 0.776
Mo: 0.562 0.480 0.421
Mo: 0.580 0.366 0.775
Mo: 0.562 0.580 0.422
Mo: 0.579 0.466 0.775
Mo: 0.562 0.680 0.422
Mo: 0.579 0.566 0.775
Mo: 0.562 0.780 0.422
Mo: 0.579 0.666 0.776
Mo: 0.562 0.880 0.421
Mo: 0.579 0.766 0.776
Mo: 0.556 0.981 0.418
Mo: 0.579 0.866 0.775
Mo: 0.775 0.014 0.439
Mo: 0.585 0.966 0.781
Mo: 0.787 0.115 0.435
Mo: 0.775 0.214 0.440
Mo: 0.778 0.314 0.436
********

• Request:
What is needed: give back the whole of the lines further above unchanged.

• Reply:
No. 1
Te4Mo3WS4 | PBE-GGA | relaxed

Unit cell a=3.361 b=3.361 c=39.839 alpha=90.00 beta=90.00 gamma=120.00
Atoms (fractional coordinates):
Te: 0.000 0.000 0.707
Te: 0.333 0.667 0.420
Te: 0.333 0.667 0.516
Te: 0.000 0.000 0.612
Mo: 0.000 0.000 0.094
Mo: 0.333 0.667 0.282
Mo: 0.333 0.667 0.659
W: 0.000 0.000 0.468
S: 0.000 0.000 0.320
S: 0.333 0.667 0.056
S: 0.333 0.667 0.132
S: 0.000 0.000 0.244

Summary:
For the energy above the most stable polymorph in this dataset, the calculation gives 0.444 eV per formula unit. For the density, the calculation gives 4.73 g/cm3. The formation energy comes out at -0.61 eV/atom.

=====

No. 2
Th2Mo15S20 | PBE-GGA | relaxed

Unit cell a=9.301 b=11.207 c=14.461 alpha=105.14 beta=107.36 gamma=90.85
Atoms (fractional coordinates):
Th: 0.900 0.600 0.802
Th: 0.300 0.199 0.600
Th: 0.700 0.801 0.400
Th: 0.100 0.400 0.198
Mo: 0.551 0.387 0.082
Mo: 0.951 0.989 0.882
Mo: 0.349 0.588 0.682
Mo: 0.749 0.188 0.481
Mo: 0.149 0.789 0.282
Mo: 0.645 0.434 0.935
Mo: 0.047 0.034 0.737
Mo: 0.445 0.635 0.536
Mo: 0.845 0.235 0.335
Mo: 0.249 0.835 0.136
Mo: 0.654 0.619 0.099
Mo: 0.058 0.217 0.900
Mo: 0.458 0.820 0.701
Mo: 0.856 0.419 0.499
Mo: 0.256 0.020 0.300
Mo: 0.449 0.613 0.918
Mo: 0.851 0.211 0.718
Mo: 0.251 0.812 0.519
Mo: 0.651 0.412 0.318
Mo: 0.049 0.011 0.118
Mo: 0.355 0.566 0.065
Mo: 0.751 0.165 0.864
Mo: 0.155 0.765 0.665
Mo: 0.555 0.365 0.464
Mo: 0.953 0.966 0.263
Mo: 0.346 0.381 0.901
Mo: 0.744 0.980 0.700
Mo: 0.144 0.581 0.501
Mo: 0.542 0.180 0.299
Mo: 0.942 0.783 0.100
S: 0.721 0.024 0.325
S: 0.122 0.623 0.127
S: 0.528 0.229 0.928
S: 0.922 0.823 0.727
S: 0.322 0.423 0.526
S: 0.925 0.448 0.347
S: 0.325 0.047 0.153
S: 0.723 0.651 0.947
S: 0.125 0.248 0.747
S: 0.524 0.848 0.546
S: 0.751 0.379 0.626
S: 0.150 0.979 0.426
S: 0.551 0.580 0.227
S: 0.947 0.179 0.025
S: 0.352 0.773 0.822
S: 0.678 0.577 0.474
S: 0.078 0.177 0.273
S: 0.472 0.771 0.072
S: 0.878 0.377 0.873
S: 0.279 0.976 0.675
S: 0.476 0.152 0.454
S: 0.875 0.752 0.253
S: 0.277 0.349 0.053
S: 0.675 0.953 0.847
S: 0.075 0.552 0.653
S: 0.648 0.227 0.178
S: 0.053 0.821 0.975
S: 0.449 0.420 0.773
S: 0.850 0.021 0.574
S: 0.249 0.621 0.374
S: 0.009 0.248 0.503
S: 0.410 0.849 0.304
S: 0.810 0.447 0.102
S: 0.213 0.049 0.904
S: 0.610 0.648 0.704
S: 0.390 0.352 0.296
S: 0.787 0.951 0.096
S: 0.190 0.553 0.898
S: 0.590 0.151 0.696
S: 0.991 0.752 0.497

Summary:
For the density, the calculation gives 6.12 g/cm3. The formation energy comes out at -1.15 eV/atom.

=====

No. 3
Th2Mo15S20 | PBE-GGA | relaxed

Unit cell a=6.518 b=65.102 c=9.289 alpha=44.59 beta=88.68 gamma=89.00
Atoms (fractional coordinates):
Th: 0.000 0.100 0.000
Th: 0.999 0.399 0.004
Th: 0.000 0.500 0.000
Th: 0.000 0.700 0.000
Th: 0.001 0.801 0.996
Th: 0.000 0.901 0.995
Th: 0.000 0.299 0.005
Th: 0.000 0.600 0.000
Mo: 0.213 0.085 0.565
Mo: 0.225 0.186 0.561
Mo: 0.224 0.286 0.562
Mo: 0.224 0.386 0.562
Mo: 0.224 0.486 0.562
Mo: 0.224 0.586 0.562
Mo: 0.225 0.686 0.562
Mo: 0.225 0.786 0.562
Mo: 0.222 0.886 0.564
Mo: 0.414 0.034 0.219
Mo: 0.225 0.986 0.560
Mo: 0.420 0.134 0.223
Mo: 0.445 0.020 0.580
Mo: 0.415 0.234 0.219
Mo: 0.434 0.119 0.585
Mo: 0.421 0.334 0.225
Mo: 0.444 0.219 0.582
Mo: 0.421 0.434 0.224
Mo: 0.438 0.320 0.579
Mo: 0.421 0.534 0.224
Mo: 0.438 0.420 0.578
Mo: 0.421 0.634 0.225
Mo: 0.438 0.520 0.578
Mo: 0.421 0.734 0.225
Mo: 0.438 0.620 0.578
Mo: 0.566 0.081 0.415
Mo: 0.420 0.834 0.225
Mo: 0.438 0.720 0.579
Mo: 0.555 0.180 0.420
Mo: 0.417 0.934 0.224
Mo: 0.580 0.066 0.777
Mo: 0.438 0.820 0.579
Mo: 0.568 0.280 0.419
Mo: 0.586 0.166 0.781
Mo: 0.432 0.920 0.581
Mo: 0.562 0.380 0.421
Mo: 0.583 0.266 0.776
Mo: 0.562 0.480 0.421
Mo: 0.580 0.366 0.775
Mo: 0.562 0.580 0.422
Mo: 0.579 0.466 0.775
Mo: 0.562 0.680 0.422
Mo: 0.579 0.566 0.775
Mo: 0.562 0.780 0.422
Mo: 0.579 0.666 0.776
Mo: 0.562 0.880 0.421
Mo: 0.579 0.766 0.776
Mo: 0.556 0.981 0.418
Mo: 0.579 0.866 0.775
Mo: 0.775 0.014 0.439
Mo: 0.585 0.966 0.781
Mo: 0.787 0.115 0.435
Mo: 0.775 0.214 0.440
Mo: 0.778 0.314 0.436